# Source
/*
Record 1
# Tb2Y2O5
Theoretical PXRD pattern, Cu Kα. Input: the PBE geometry in OQMD.
Intensities are scaled so that the largest is 1000.

Structural model:
```
data_Tb2Y2O5
_cell_length_a 3.883
_cell_length_b 3.883
_cell_length_c 9.625
_cell_angle_alpha 90.00
_cell_angle_beta 90.00
_cell_angle_gamma 90.00
_space_group_name_H-M_alt 'P 4/m m m'
_space_group_IT_number 123
_space_group_name_Hall '-P 4 2'
loop_
_atom_site_label
_atom_site_fract_x
_atom_site_fract_y
_atom_site_fract_z
Tb1 0.000 0.000 0.242
Y1 0.500 0.500 0.000
Y2 0.500 0.500 0.500
O1 0.000 0.000 0.500
O2 0.000 0.500 0.143
```

Principal peaks in the range 10 to 90 degrees two-theta, in order of rising 2θ:
- 29.56 deg, I 1000
- 32.62 deg, I 335
- 37.37 deg, I 117
- 46.80 deg, I 200
- 50.43 deg, I 305
- 56.33 deg, I 326
- 61.36 deg, I 113
- 62.66 deg, I 112
- 81.73 deg, I 106
- 89.65 deg, I 115

Record 2
# TbZnO3
Theoretical PXRD pattern, Cu Kα. Input: the PBE geometry in OQMD.
Intensities are scaled so that the largest is 1000.

Structural model:
```
data_TbZnO3
_cell_length_a 5.5381
_cell_length_b 5.5381
_cell_length_c 12.5935
_cell_angle_alpha 90.00
_cell_angle_beta 90.00
_cell_angle_gamma 120.00
_space_group_name_H-M_alt 'R -3 c'
_space_group_IT_number 167
_space_group_name_Hall '-R 3 2"c'
loop_
_atom_site_label
_atom_site_fract_x
_atom_site_fract_y
_atom_site_fract_z
Tb1 0.0000 0.0000 0.2500
Zn1 0.0000 0.0000 0.0000
O1 0.0000 0.4044 0.2500
```

Principal peaks in the range 10 to 90 degrees two-theta, in order of rising 2θ:
- 23.31 deg, I 288
- 32.33 deg, I 1000
- 34.06 deg, I 965
- 40.24 deg, I 165
- 47.67 deg, I 509
- 57.66 deg, I 273
- 58.78 deg, I 424
- 62.05 deg, I 171
- 77.98 deg, I 163
- 80.87 deg, I 167

Record 3
# TbZnO3
Theoretical PXRD pattern, Cu Kα. Input: the PBE geometry in OQMD.
Intensities are scaled so that the largest is 1000.

Structural model:
```
data_TbZnO3
_cell_length_a 5.773
_cell_length_b 7.504
_cell_length_c 5.256
_cell_angle_alpha 90.00
_cell_angle_beta 90.00
_cell_angle_gamma 90.00
_space_group_name_H-M_alt 'P n m a'
_space_group_IT_number 62
loop_
_space_group_symop_operation_xyz
'x,y,z'
'-x,-y,-z'
'-x+1/2,-y,z+1/2'
'x+1/2,y,-z+1/2'
'x+1/2,-y+1/2,-z+1/2'
'-x+1/2,y+1/2,z+1/2'
'-x,y+1/2,-z'
'x,-y+1/2,z'
loop_
_atom_site_label
_atom_site_fract_x
_atom_site_fract_y
_atom_site_fract_z
Tb1 0.084 0.250 0.022
Zn1 0.000 0.000 0.500
O1 0.034 0.750 0.388
O2 0.184 0.554 0.806
```

Principal peaks in the range 10 to 90 degrees two-theta, in order of rising 2θ:
- 25.82 deg, I 265
- 30.98 deg, I 138
- 33.20 deg, I 1000
- 34.12 deg, I 213
- 46.75 deg, I 117
- 48.39 deg, I 149
- 48.53 deg, I 123
- 52.06 deg, I 173
- 60.49 deg, I 176
- 60.65 deg, I 97

~~~~~

[1]
Simulated powder XRD pattern of UCrPtO6 for Cu Kα X-rays, from a DFT-relaxed cell (PBE+U, Alexandria).
Peak positions follow from Bragg's law for the DFT cell and can differ from measured ones.

Structure:
Lattice parameters (Å, degrees): 5.250 5.250 9.171 90.00 90.00 120.00
Positions (direct):
U 0.333 0.667 0.250
U 0.667 0.333 0.750
Cr 0.000 0.000 0.000
Cr 0.000 0.000 0.500
Pt 0.333 0.667 0.750
Pt 0.667 0.333 0.250
O 0.009 0.332 0.625
O 0.009 0.677 0.875
O 0.323 0.332 0.875
O 0.323 0.991 0.625
O 0.332 0.009 0.125
O 0.332 0.323 0.375
O 0.668 0.677 0.625
O 0.668 0.991 0.875
O 0.677 0.009 0.375
O 0.677 0.668 0.125
O 0.991 0.323 0.125
O 0.991 0.668 0.375

Largest 10 diffraction maxima, by intensity, 15° ≤ 2θ ≤ 90°:
2θ 27.63, I = 100
2θ 39.56, I = 86
2θ 34.16, I = 74
2θ 19.36, I = 73
2θ 53.03, I = 64
2θ 19.52, I = 37
2θ 44.48, I = 28
2θ 57.25, I = 26
2θ 61.15, I = 24
2θ 64.78, I = 19

[2]
Simulated powder XRD pattern of Pu2CrO11 for Cu Kα X-rays, from a DFT-relaxed cell (PBE+U, Alexandria).
Peak positions follow from Bragg's law for the DFT cell and can differ from measured ones.

Structure:
Lattice parameters (Å, degrees): 7.544 7.788 9.338 101.97 104.69 109.16
Positions (direct):
Pu 0.000 0.000 0.000
Pu 0.140 0.687 0.492
Pu 0.420 0.473 0.984
Pu 0.733 0.254 0.540
Cr 0.239 0.243 0.558
*/

# Wanted
Please quote only the lines further above with the word "are" in them.

# Response
Intensities are scaled so that the largest is 1000.
Intensities are scaled so that the largest is 1000.
Intensities are scaled so that the largest is 1000.